Material
+++
CeSe2, optimized geometry, DFT PBE; magnetic moment = 0.0 μB/cell; energy of formation = -1.59 eV/atom
1.0
7.2889 0.0000 0.0000
-1.8615 7.2562 0.0000
-1.2170 -1.2998 9.9435
Ce Se
4 8
Direct
0.0000 0.0000 0.0000
0.0654 0.0115 0.5864
0.5439 0.9210 0.3012
0.7616 0.4433 0.6312
0.0435 0.7544 0.7899
0.2727 0.8030 0.4597
0.3602 0.1251 0.1357
0.3798 0.3282 0.6269
0.7068 0.7763 0.0922
0.7494 0.7085 0.4547
0.8584 0.2195 0.4211
0.9175 0.2105 0.7989

~~~~~

SmInPd | r²SCAN | optimized geometry

a b c (Å): 7.7663 7.7663 3.8949
angles (deg): 90.00 90.00 120.00
Fractional coordinates of all 9 atoms:
Sm 0.0000 0.5905 0.0000
Sm 0.4095 0.4095 0.0000
Sm 0.5905 0.0000 0.0000
In 0.0000 0.2566 0.5000
In 0.2566 0.0000 0.5000
In 0.7434 0.7434 0.5000
Pd 0.0000 0.0000 0.0000
Pd 0.3333 0.6667 0.5000
Pd 0.6667 0.3333 0.5000

Properties
* E_tot: -25.981 eV per atom
* energy relative to the elements: -0.89 eV/atom

---

SmIn2Pd | r²SCAN | optimized geometry

a b c (Å): 10.8907 10.8907 10.8907
angles (deg): 100.31 100.31 129.94
Fractional coordinates of all 40 atoms:
Sm 0.0000 0.0000 0.0000
Sm 0.0834 0.0834 0.4045
Sm 0.0834 0.6789 0.0000
Sm 0.1155 0.3951 0.7204
Sm 0.3951 0.1155 0.7204
Sm 0.3951 0.6747 0.2796
Sm 0.4687 0.4687 0.0000
Sm 0.6747 0.3951 0.2796
Sm 0.6789 0.0834 0.0000
Sm 0.6789 0.6789 0.5955
In 0.0950 0.0950 0.7343
In 0.0950 0.3606 0.0000
In 0.2542 0.8713 0.3829
In 0.2728 0.4831 0.4929
In 0.2728 0.7799 0.7897
In 0.3606 0.0950 0.0000
In 0.3606 0.3606 0.2657
In 0.4831 0.2728 0.4929
In 0.4831 0.9902 0.2103
In 0.4884 0.8713 0.6171
In 0.5626 0.7256 0.8371
In 0.7256 0.5626 0.8371
In 0.7256 0.8885 0.1629
In 0.7799 0.2728 0.7897
In 0.7799 0.9902 0.5071
In 0.8713 0.2542 0.3829
In 0.8713 0.4884 0.6171
In 0.8885 0.7256 0.1629
In 0.9902 0.4831 0.2103
In 0.9902 0.7799 0.5071
Pd 0.0342 0.2510 0.2168
Pd 0.0342 0.8175 0.7832
Pd 0.1236 0.6236 0.5000
Pd 0.2510 0.0342 0.2168
Pd 0.3814 0.3814 0.6791
Pd 0.3814 0.7023 0.0000
Pd 0.6236 0.1236 0.5000
Pd 0.7023 0.3814 0.0000
Pd 0.7023 0.7023 0.3209
Pd 0.8175 0.0342 0.7832

Properties
* E_tot: -25.231 eV per atom
* energy relative to the elements: -0.77 eV/atom

---

Sm2In8Pd | r²SCAN | optimized geometry

a b c (Å): 4.6846 4.6846 12.1479
angles (deg): 90.00 90.00 90.00
Fractional coordinates of all 11 atoms:
Sm 0.0000 0.0000 0.1898
Sm 0.0000 0.0000 0.8102
In 0.0000 0.5000 0.0000
In 0.0000 0.5000 0.3761
In 0.0000 0.5000 0.6239
In 0.5000 0.0000 0.0000
In 0.5000 0.0000 0.3761
In 0.5000 0.0000 0.6239
In 0.5000 0.5000 0.1936
In 0.5000 0.5000 0.8064
Pd 0.0000 0.0000 0.5000

Properties
* E_tot: -24.467 eV per atom
* energy relative to the elements: -0.55 eV/atom

---

Sr2InPd2 | r²SCAN | optimized geometry

a b c (Å): 6.0450 6.0450 8.3728
angles (deg): 101.76 101.76 60.14
Fractional coordinates of all 10 atoms:
Sr 0.0086 0.2882 0.1473
Sr 0.2882 0.0086 0.6473
Sr 0.7118 0.9914 0.3527
Sr 0.9914 0.7118 0.8527
In 0.3670 0.6330 0.2500
In 0.6330 0.3670 0.7500
Pd 0.2299 0.5027 0.4970
Pd 0.4973 0.7701 0.0030
Pd 0.5027 0.2299 0.9970
Pd 0.7701 0.4973 0.5030

Properties
* E_tot: -20.450 eV per atom
* energy relative to the elements: -0.69 eV/atom

---

SrIn4Pd | r²SCAN | optimized geometry

a b c (Å): 8.8972 8.8972 7.5225
angles (deg): 90.00 90.00 150.07
Fractional coordinates of all 12 atoms:
Sr 0.1238 0.8762 0.7500
Sr 0.8762 0.1238 0.2500
In 0.0694 0.9306 0.2500
In 0.3153 0.6847 0.5510
In 0.3153 0.6847 0.9490
In 0.5000 0.5000 0.0000
In 0.5000 0.5000 0.5000
In 0.6847 0.3153 0.0510
In 0.6847 0.3153 0.4490
In 0.9306 0.0694 0.7500
Pd 0.2251 0.7749 0.2500
Pd 0.7749 0.2251 0.7500

Properties
* E_tot: -21.947 eV per atom
* energy relative to the elements: -0.54 eV/atom

---

Tb2InPd2 | r²SCAN | optimized geometry

a b c (Å): 7.7554 7.7554 3.6664
angles (deg): 90.00 90.00 90.00
Fractional coordinates of all 10 atoms:
Tb 0.1737 0.3263 0.0000
Tb 0.3263 0.8263 0.0000
Tb 0.6737 0.1737 0.0000
Tb 0.8263 0.6737 0.0000
In 0.0000 0.0000 0.5000
In 0.5000 0.5000 0.5000
Pd 0.1276 0.6276 0.5000
Pd 0.3724 0.1276 0.5000
Pd 0.6276 0.8724 0.5000
+++

Exercise
Write out the whole of the block earlier on character by character, please.

Result
CeSe2, optimized geometry, DFT PBE; magnetic moment = 0.0 μB/cell; energy of formation = -1.59 eV/atom
1.0
7.2889 0.0000 0.0000
-1.8615 7.2562 0.0000
-1.2170 -1.2998 9.9435
Ce Se
4 8
Direct
0.0000 0.0000 0.0000
0.0654 0.0115 0.5864
0.5439 0.9210 0.3012
0.7616 0.4433 0.6312
0.0435 0.7544 0.7899
0.2727 0.8030 0.4597
0.3602 0.1251 0.1357
0.3798 0.3282 0.6269
0.7068 0.7763 0.0922
0.7494 0.7085 0.4547
0.8584 0.2195 0.4211
0.9175 0.2105 0.7989

~~~~~

SmInPd | r²SCAN | optimized geometry

a b c (Å): 7.7663 7.7663 3.8949
angles (deg): 90.00 90.00 120.00
Fractional coordinates of all 9 atoms:
Sm 0.0000 0.5905 0.0000
Sm 0.4095 0.4095 0.0000
Sm 0.5905 0.0000 0.0000
In 0.0000 0.2566 0.5000
In 0.2566 0.0000 0.5000
In 0.7434 0.7434 0.5000
Pd 0.0000 0.0000 0.0000
Pd 0.3333 0.6667 0.5000
Pd 0.6667 0.3333 0.5000

Properties
* E_tot: -25.981 eV per atom
* energy relative to the elements: -0.89 eV/atom

---

SmIn2Pd | r²SCAN | optimized geometry

a b c (Å): 10.8907 10.8907 10.8907
angles (deg): 100.31 100.31 129.94
Fractional coordinates of all 40 atoms:
Sm 0.0000 0.0000 0.0000
Sm 0.0834 0.0834 0.4045
Sm 0.0834 0.6789 0.0000
Sm 0.1155 0.3951 0.7204
Sm 0.3951 0.1155 0.7204
Sm 0.3951 0.6747 0.2796
Sm 0.4687 0.4687 0.0000
Sm 0.6747 0.3951 0.2796
Sm 0.6789 0.0834 0.0000
Sm 0.6789 0.6789 0.5955
In 0.0950 0.0950 0.7343
In 0.0950 0.3606 0.0000
In 0.2542 0.8713 0.3829
In 0.2728 0.4831 0.4929
In 0.2728 0.7799 0.7897
In 0.3606 0.0950 0.0000
In 0.3606 0.3606 0.2657
In 0.4831 0.2728 0.4929
In 0.4831 0.9902 0.2103
In 0.4884 0.8713 0.6171
In 0.5626 0.7256 0.8371
In 0.7256 0.5626 0.8371
In 0.7256 0.8885 0.1629
In 0.7799 0.2728 0.7897
In 0.7799 0.9902 0.5071
In 0.8713 0.2542 0.3829
In 0.8713 0.4884 0.6171
In 0.8885 0.7256 0.1629
In 0.9902 0.4831 0.2103
In 0.9902 0.7799 0.5071
Pd 0.0342 0.2510 0.2168
Pd 0.0342 0.8175 0.7832
Pd 0.1236 0.6236 0.5000
Pd 0.2510 0.0342 0.2168
Pd 0.3814 0.3814 0.6791
Pd 0.3814 0.7023 0.0000
Pd 0.6236 0.1236 0.5000
Pd 0.7023 0.3814 0.0000
Pd 0.7023 0.7023 0.3209
Pd 0.8175 0.0342 0.7832

Properties
* E_tot: -25.231 eV per atom
* energy relative to the elements: -0.77 eV/atom

---

Sm2In8Pd | r²SCAN | optimized geometry

a b c (Å): 4.6846 4.6846 12.1479
angles (deg): 90.00 90.00 90.00
Fractional coordinates of all 11 atoms:
Sm 0.0000 0.0000 0.1898
Sm 0.0000 0.0000 0.8102
In 0.0000 0.5000 0.0000
In 0.0000 0.5000 0.3761
In 0.0000 0.5000 0.6239
In 0.5000 0.0000 0.0000
In 0.5000 0.0000 0.3761
In 0.5000 0.0000 0.6239
In 0.5000 0.5000 0.1936
In 0.5000 0.5000 0.8064
Pd 0.0000 0.0000 0.5000

Properties
* E_tot: -24.467 eV per atom
* energy relative to the elements: -0.55 eV/atom

---

Sr2InPd2 | r²SCAN | optimized geometry

a b c (Å): 6.0450 6.0450 8.3728
angles (deg): 101.76 101.76 60.14
Fractional coordinates of all 10 atoms:
Sr 0.0086 0.2882 0.1473
Sr 0.2882 0.0086 0.6473
Sr 0.7118 0.9914 0.3527
Sr 0.9914 0.7118 0.8527
In 0.3670 0.6330 0.2500
In 0.6330 0.3670 0.7500
Pd 0.2299 0.5027 0.4970
Pd 0.4973 0.7701 0.0030
Pd 0.5027 0.2299 0.9970
Pd 0.7701 0.4973 0.5030

Properties
* E_tot: -20.450 eV per atom
* energy relative to the elements: -0.69 eV/atom

---

SrIn4Pd | r²SCAN | optimized geometry

a b c (Å): 8.8972 8.8972 7.5225
angles (deg): 90.00 90.00 150.07
Fractional coordinates of all 12 atoms:
Sr 0.1238 0.8762 0.7500
Sr 0.8762 0.1238 0.2500
In 0.0694 0.9306 0.2500
In 0.3153 0.6847 0.5510
In 0.3153 0.6847 0.9490
In 0.5000 0.5000 0.0000
In 0.5000 0.5000 0.5000
In 0.6847 0.3153 0.0510
In 0.6847 0.3153 0.4490
In 0.9306 0.0694 0.7500
Pd 0.2251 0.7749 0.2500
Pd 0.7749 0.2251 0.7500

Properties
* E_tot: -21.947 eV per atom
* energy relative to the elements: -0.54 eV/atom

---

Tb2InPd2 | r²SCAN | optimized geometry

a b c (Å): 7.7554 7.7554 3.6664
angles (deg): 90.00 90.00 90.00
Fractional coordinates of all 10 atoms:
Tb 0.1737 0.3263 0.0000
Tb 0.3263 0.8263 0.0000
Tb 0.6737 0.1737 0.0000
Tb 0.8263 0.6737 0.0000
In 0.0000 0.0000 0.5000
In 0.5000 0.5000 0.5000
Pd 0.1276 0.6276 0.5000
Pd 0.3724 0.1276 0.5000
Pd 0.6276 0.8724 0.5000